Source.
=====
No. 1
=====

What to do.
It remains to work out how many lines further above have the word "No" in them; a number is enough.

Response.
1